figure a

Crystal structures from another source follow:
____________
Li3BiC | PBE | relaxed

Values from the calculation:
Energy above the most stable polymorph in this dataset = 0.7963 eV/atom
Magnetization = 2.000 μB per formula unit
Symmetry = Pm-3m (221)

Lattice parameters (Å, degrees): 5.2923 5.2923 5.2923 90.00 90.00 90.00
With the nearest neighbours (Å) after each atom.
Fractional positions:
C 0.5000 0.5000 0.5000  12 Li 3.74
Li 0.0000 0.5000 0.0000  2 Bi 2.65
Li 0.5000 0.0000 0.0000  2 Bi 2.65
Li 0.0000 0.0000 0.5000  2 Bi 2.65
Bi 0.0000 0.0000 0.0000  6 Li 2.65

---

CdH | PBE | relaxed

Values from the calculation:
Energy above the most stable polymorph in this dataset = 0.2152 eV/atom
Magnetization = 0.000 μB per formula unit
Symmetry = Pmn2_1 (31)

Lattice parameters (Å, degrees): 9.5593 3.3408 6.2714 90.00 90.00 90.00
With the nearest neighbours (Å) after each atom.
Fractional positions:
Cd 0.3032 0.7779 0.8032  4 H 1.92-2.15
Cd 0.6968 0.7779 0.8032  4 H 1.92-2.15
Cd 0.8032 0.2221 0.3032  4 H 1.92-2.15
Cd 0.1968 0.2221 0.3032  4 H 1.92-2.15
Cd 0.0000 0.8247 0.7884  2 Cd 2.90, 5 H 2.94-3.25
Cd 0.5000 0.1753 0.2884  2 Cd 2.90, 5 H 2.94-3.25
H 0.2234 0.7044 0.1210  3 Cd 1.99-2.15
H 0.7766 0.7044 0.1210  3 Cd 1.99-2.15
H 0.0000 0.2059 0.3653  2 Cd 1.92
H 0.7234 0.2956 0.6210  3 Cd 1.99-2.15
H 0.5000 0.7941 0.8653  2 Cd 1.92
H 0.2766 0.2956 0.6210  3 Cd 1.99-2.15

---

> Which of these has the lowest magnetization?

CdH

* * * * *

Here is an optimized crystal structure of Rb4CeU3S8 from Alexandria. Energies are from PBE. Values from VASP.

Output
Total energy   -6.248 eV/atom

```
&SYSTEM
  ibrav = 0, nat = 16, ntyp = 4
/
ATOMIC_SPECIES
Rb 85.47 Rb.upf
Ce 140.12 Ce.upf
U 238.03 U.upf
S 32.06 S.upf
ATOMIC_POSITIONS crystal
Rb 0.0000 0.0000 0.0000
Rb 0.0000 0.5000 0.5000
Rb 0.5000 0.0000 0.5000
Rb 0.5000 0.5000 0.0000
Ce 0.5000 0.5000 0.5000
U 0.0000 0.0000 0.5000
U 0.0000 0.5000 0.0000
U 0.5000 0.0000 0.0000
S 0.2250 0.7352 0.7352
S 0.2306 0.2306 0.2306
S 0.2648 0.2648 0.7750
S 0.2648 0.7750 0.2648
S 0.7352 0.2250 0.7352
S 0.7352 0.7352 0.2250
S 0.7694 0.7694 0.7694
S 0.7750 0.2648 0.2648
CELL_PARAMETERS angstrom
4.1057 2.3704 7.7506
-4.1057 2.3704 7.7506
0.0000 -4.7409 7.7506
```

=====

Here is an optimized crystal structure of PmDy6In3 from Alexandria. Energies are from PBE. Values from VASP.

Output
Formation energy from the elements   -0.14 eV/atom

```
&SYSTEM
  ibrav = 0, nat = 20, ntyp = 3
/
ATOMIC_SPECIES
Pm 145.00 Pm.upf
Dy 162.50 Dy.upf
In 114.82 In.upf
ATOMIC_POSITIONS crystal
Pm 0.2172 0.7828 0.5000
Pm 0.7828 0.2172 0.0000
Dy 0.0490 0.9510 0.7841
Dy 0.0751 0.4499 0.2878
Dy 0.2344 0.3007 0.9748
Dy 0.3007 0.2344 0.4748
Dy 0.3010 0.6990 0.9568
Dy 0.4499 0.0751 0.7878
Dy 0.5501 0.9249 0.2878
Dy 0.6990 0.3010 0.4568
Dy 0.6993 0.7656 0.9748
Dy 0.7656 0.6993 0.4748
Dy 0.9249 0.5501 0.7878
Dy 0.9510 0.0490 0.2841
In 0.0134 0.2790 0.6500
In 0.2790 0.0134 0.1500
In 0.4465 0.5535 0.2615
In 0.5535 0.4465 0.7615
In 0.7210 0.9866 0.6500
In 0.9866 0.7210 0.1500
CELL_PARAMETERS angstrom
____________
Here the article continues:

This edition of Spinal Cord contains some interesting correspondence about a newly proposed outcome measure called “The Spinal Cord Ability Ruler” (SCAR) [1]. The SCAR builds on the years of work of others—it does not try to reinvent the wheel. It uses select items from the upper limb motor assessments of the International Standards for the Neurological Classification of Spinal Cord Injury (ISNCSCI) and the Spinal Cord Independence Measure (SCIM) [2] with a newly proposed scoring system. Specifically, it contains the right and left strength scores for C5–C8, and 16 items from the SCIM. The existing 6-point manual muscle test used in the ISNCSCI is collapsed into a 3-point score, and each of the included SCIM items is scored on a 4-point scale. A formula is used to derive an overall score of 100 points (see p.735 for details [1]).

The rational for the choice of items in the SCAR is intriguing and centres around the desire to create a clinical endpoint for clinical trials that reflects “volitional performance” and can be reliably measured. “Volitional performance” is defined by the authors as “voluntary task-specific physical actions contributing to independence in ADLs” (p.731) [1]. For this reason, the bladder, bowel and respiratory items of the SCIM are excluded because they are largely controlled by the autonomic nervous system. The authors argue for the addition of a select few strength assessments of the upper limb to capture “volitional performance” in those with high cervical lesions on the basis that the relevant SCIM items for this group of individuals cannot be adequately tested early after injury.

'''
Compound: TcAg3O
Source: the Alexandria database
Functional: meta-GGA SCAN
Structure: PBEsol geometry

- SG: Pm-3m
- Uncorrected formation energy: 1936 meV/atom

Geometry as CIF:
```
data_TcAg3O
_cell_length_a 4.989
_cell_length_b 4.989
_cell_length_c 4.989
_cell_angle_alpha 90.00
_cell_angle_beta 90.00
_cell_angle_gamma 90.00
_symmetry_space_group_name_H-M 'P 1'
_symmetry_Int_Tables_number 1
loop_
_symmetry_equiv_pos_as_xyz
'x,y,z'
loop_
_atom_site_label
_atom_site_type_symbol
_atom_site_fract_x
_atom_site_fract_y
_atom_site_fract_z
_atom_site_occupancy
Tc1 Tc 0.000 0.000 0.000 1
Ag1 Ag 0.500 0.000 0.000 1
Ag2 Ag 0.000 0.500 0.000 1
Ag3 Ag 0.000 0.000 0.500 1
O1 O 0.500 0.500 0.500 1
```


# YMnNO2 | Alexandria | PBE with a Hubbard U | optimized geometry
data_YMnNO2
_chemical_formula_sum 'Y1 Mn1 N1 O2'
_space_group_name_H-M_alt 'P 4/m m m'
_space_group_IT_number 123
_space_group_name_Hall '-P 4 2'
_cell_length_a 3.802
_cell_length_b 3.802
_cell_length_c 3.881
_cell_angle_alpha 90.00
_cell_angle_beta 90.00
_cell_angle_gamma 90.00
loop_
_atom_site_label
_atom_site_type_symbol
_atom_site_fract_x
_atom_site_fract_y
_atom_site_fract_z
_atom_site_occupancy
Y1 Y 0.000 0.000 0.000 1
Mn1 Mn 0.500 0.500 0.500 1
N1 N 0.500 0.500 0.000 1
O1 O 0.000 0.500 0.500 1
# Calculated density = 5.62 g/cm3
# Size of the total moment = 0.6048 μB per atom
# Final energy = -7.95 eV/atom


GGA-PBE SrYMg2, relaxed; size of the total moment = 0.00 μB per cell; excess energy over the best structure of this formula in the dataset = 182 meV/atom; space group = C2/m, No. 12; VASP energy = -2.71 eV per atom
1.0
11.0184 0.0000 0.0000
0.0000 3.6132 0.0000
-1.1372 0.0000 6.7831
Sr Y Mg
2 2 4
Direct
0.0000 0.0000 0.0000 Sr
0.5000 0.5000 0.0000 Sr
0.0000 0.5000 0.5000 Y
0.5000 0.0000 0.5000 Y
0.2441 0.0000 0.7063 Mg
0.2559 0.5000 0.2937 Mg
0.7441 0.5000 0.7063 Mg
0.7559 0.0000 0.2937 Mg


Entry from Alexandria via LeMat-Bulk: KNaFe2Br8 after structural relaxation (PBE).

Calculated values
Space-group type   P-3 (147)
Spin magnetization   10.00 μB/f.u.
Energy   -3.61 eV/atom

Lattice parameters (Å, degrees): 6.941 6.941 10.184 90.00 90.00 120.00
Sites, in units of the cell vectors:
K1 0.000 0.000 0.000
Na1 0.000 0.000 0.500
Fe1 0.333 0.667 0.760
Fe2 0.667 0.333 0.240
Br1 0.013 0.338 0.690
Br2 0.325 0.987 0.690
Br3 0.333 0.667 0.991
Br4 0.338 0.325 0.310
Br5 0.662 0.675 0.690
Br6 0.667 0.333 0.009
Br7 0.675 0.013 0.310
Br8 0.987 0.662 0.310


[1]
Below is a relaxed Si2AuS crystal, with properties calculated at the GGA-PBE level.

Output
calculated total energy: -35.53 eV/cell
ΔE_f (raw): 0.121 eV/atom
DOS at the Fermi energy: 1.75 states/eV/f.u.

Cell lengths 5.615, 5.615, 6.759 Å; angles 65.46, 65.46, 90.00 degrees
Sites, in units of the cell vectors:
Au (0.000, 0.000, 0.000)
S (0.500, 0.500, 0.000)
Si (0.125, 0.625, 0.250)
S (0.250, 0.750, 0.500)
Si (0.625, 0.125, 0.250)
Si (0.875, 0.875, 0.750)
Au (0.750, 0.250, 0.500)
Si (0.375, 0.375, 0.750)

[2]
'''

The proposed scoring system certainly reduces complexity, particularly for the scoring of some of the SCIM items. There is inherent weighting in the total score by the inclusion of various items (for example the right and left strength scores for C5–C8) and by the use of a 3-point scoring system for the upper limbs muscles and a 4-point scoring system for the SCIM items. This is invariably the case when combining multiple ordinal scales into one score. However the scale has been scrutinised with Rasch Analyses which showed that the derived SCAR scale is both linear and hierarchical with a good spread of scores across a large sample of participants with spinal cord injury. Unlike many scales, a one point difference at one end of the SCAR scale is equivalent to a one point difference at the other end of the scale. The authors make a compelling argument about the value of using an outcome measure with a linear scale as a trial endpoint.

The SCAR was developed and tested using the European Multicenter Study about Spinal Cord Injury (EMSCI) database. On three occasions a large random sample of observations was drawn from the database to test, develop and finally refine the model. This is a wonderful example of how data registries can be used. Of course this needs to be done with care because there is always the risk of over-fitting any model when relying on a retrospective fit to available data from one source. It would be nice to see the process repeated on a different dataset or on data from clinical trials.

One of the real appeals of the SCAR is that it can be used retrospectively on data that have already been collected because the revised scores can be derived from the original scores. A limitation of the SCAR, which the authors go to great length to explain, is the problem of dealing with people with central cord syndromes whose patterns of motor loss do not follow the usual rostral to caudal sequence. This issue is yet to be resolved and suggests that the SCAR needs to be used cautiously in clinical trials involving people with suspected central cord syndromes.

Interested readers are encouraged to read a letter to the Editor in this edition about the SCAR paper [3]. The first author is Professor Catz, the original author of the SCIM [4]. The authors of the SCAR paper have responded to the issues raised by Professor Catz and his colleagues in a rebuttal letter [5]. Spinal Cord encourages exchanges such as these in which issues are debated in a respectful way.

The SCAR raises many interesting issues that help advance clinical trials involving people with spinal cord injury, so we welcome further discussion about the scale and its use, and we encourage all readers to take a close look at this freely-available paper.